Exercise:
Could you set down the lines further down from the one with "0.5000 0.2589" to the one with "0.0000 0.9640" without altering anything?

Listing:
This record from Materials Project describes a relaxed Zr14As9 crystal. The functional is PBE-GGA.

Cell: 17.2646 28.4803 3.8087 Å, 90.00 90.00 90.00°
Atoms (fractional coordinates):
Zr 0.0000 0.0000 0.0000
Zr 0.0000 0.5000 0.5000
Zr 0.0130 0.1970 0.5000
Zr 0.0195 0.6773 0.5000
Zr 0.0502 0.5790 0.0000
Zr 0.0685 0.9257 0.5000
Zr 0.0993 0.1041 0.0000
Zr 0.1178 0.7558 0.0000
Zr 0.1341 0.4694 0.0000
Zr 0.1382 0.3527 0.0000
Zr 0.1664 0.2626 0.5000
Zr 0.1993 0.9912 0.0000
Zr 0.2025 0.8575 0.0000
Zr 0.2324 0.6881 0.5000
Zr 0.2471 0.5834 0.0000
Zr 0.2529 0.0834 0.5000
Zr 0.2676 0.1881 0.0000
Zr 0.2975 0.3575 0.5000
Zr 0.3007 0.4912 0.5000
Zr 0.3336 0.7626 0.0000
Zr 0.3618 0.8527 0.5000
Zr 0.3659 0.9694 0.5000
Zr 0.3822 0.2558 0.5000
Zr 0.4007 0.6041 0.5000
Zr 0.4315 0.4257 0.0000
Zr 0.4498 0.0790 0.5000
Zr 0.4805 0.1773 0.0000
Zr 0.4870 0.6970 0.0000
Zr 0.5000 0.0000 0.0000
Zr 0.5000 0.5000 0.5000
Zr 0.5130 0.3030 0.0000
Zr 0.5195 0.8227 0.0000
Zr 0.5502 0.9210 0.5000
Zr 0.5685 0.5743 0.0000
Zr 0.5993 0.3959 0.5000
Zr 0.6178 0.7442 0.5000
Zr 0.6341 0.0306 0.5000
Zr 0.6382 0.1473 0.5000
Zr 0.6664 0.2374 0.0000
Zr 0.6993 0.5088 0.5000
Zr 0.7025 0.6425 0.5000
Zr 0.7324 0.8119 0.0000
Zr 0.7471 0.9166 0.5000
Zr 0.7529 0.4166 0.0000
Zr 0.7676 0.3119 0.5000
Zr 0.7975 0.1425 0.0000
Zr 0.8007 0.0088 0.0000
Zr 0.8336 0.7374 0.5000
Zr 0.8618 0.6473 0.0000
Zr 0.8659 0.5306 0.0000
Zr 0.8822 0.2442 0.0000
Zr 0.9007 0.8959 0.0000
Zr 0.9315 0.0743 0.5000
Zr 0.9498 0.4210 0.0000
Zr 0.9805 0.3227 0.5000
Zr 0.9870 0.8030 0.5000
As 0.0481 0.2665 0.0000
As 0.0491 0.8570 0.0000
As 0.0641 0.4078 0.5000
As 0.1041 0.0326 0.5000
As 0.1328 0.6572 0.0000
As 0.1556 0.5385 0.5000
As 0.1584 0.1654 0.5000
As 0.2255 0.7862 0.5000
As 0.2325 0.9222 0.5000
As 0.2675 0.4222 0.0000
As 0.2745 0.2862 0.0000
As 0.3416 0.6654 0.0000
As 0.3444 0.0385 0.0000
As 0.3672 0.1572 0.5000
As 0.3959 0.5326 0.0000
As 0.4359 0.9078 0.0000
As 0.4509 0.3570 0.5000
As 0.4519 0.7665 0.5000
As 0.5481 0.2335 0.5000
As 0.5491 0.6430 0.5000
As 0.5641 0.0922 0.0000
As 0.6041 0.4674 0.0000
As 0.6328 0.8428 0.5000
As 0.6556 0.9615 0.0000
As 0.6584 0.3346 0.0000
As 0.7255 0.7138 0.0000
As 0.7325 0.5778 0.0000
As 0.7675 0.0778 0.5000
As 0.7745 0.2138 0.5000
As 0.8416 0.8346 0.5000
As 0.8444 0.4615 0.5000
As 0.8672 0.3428 0.0000
As 0.8959 0.9674 0.5000
As 0.9359 0.5922 0.5000
As 0.9509 0.1430 0.0000
As 0.9519 0.7335 0.0000

magnetic moment = 0.002 μB per atom
calculated volume = 1872.8 Å³ per cell
SG = Pnnm (58)
calculated formation energy = -1043.0 meV/atom
crystal system = orthorhombic

This record from Materials Project describes a relaxed Zr8As5 crystal. The functional is PBE-GGA.

Cell: 3.7349 10.2127 28.8009 Å, 90.00 90.00 90.00°
Atoms (fractional coordinates):
Zr 0.0000 0.0020 0.0180
Zr 0.0000 0.1634 0.9056
Zr 0.0000 0.2485 0.7352
Zr 0.0000 0.2542 0.1784
Zr 0.0000 0.3394 0.5645
Zr 0.0000 0.4965 0.4512
Zr 0.0000 0.5035 0.9512
Zr 0.0000 0.6606 0.0645
Zr 0.0000 0.7458 0.6784
Zr 0.0000 0.7515 0.2352
Zr 0.0000 0.8366 0.4056
Zr 0.0000 0.9980 0.5180
Zr 0.5000 0.0236 0.2422
Zr 0.5000 0.0740 0.1153
Zr 0.5000 0.0886 0.3611
Zr 0.5000 0.2421 0.6526
Zr 0.5000 0.2450 0.4705
Zr 0.5000 0.2552 0.0000
Zr 0.5000 0.2589 0.8175
Zr 0.5000 0.4148 0.1082
Zr 0.5000 0.4240 0.3536
Zr 0.5000 0.4798 0.2279
Zr 0.5000 0.5202 0.7279
Zr 0.5000 0.5760 0.8536
Zr 0.5000 0.5852 0.6082
Zr 0.5000 0.7411 0.3175
Zr 0.5000 0.7448 0.5000
Zr 0.5000 0.7550 0.9705
Zr 0.5000 0.7579 0.1526
Zr 0.5000 0.9114 0.8611
Zr 0.5000 0.9260 0.6153
Zr 0.5000 0.9764 0.7422
As 0.0000 0.0360 0.6744
As 0.0000 0.0582 0.8113
As 0.0000 0.2318 0.0737
As 0.0000 0.2677 0.3975
As 0.0000 0.4463 0.6599
As 0.0000 0.4620 0.7962
As 0.0000 0.5380 0.2962
As 0.0000 0.5537 0.1599
As 0.0000 0.7323 0.8975
As 0.0000 0.7682 0.5737
As 0.0000 0.9418 0.3113
As 0.0000 0.9640 0.1744
As 0.5000 0.0134 0.9485
As 0.5000 0.1462 0.5632
As 0.5000 0.3570 0.9061
As 0.5000 0.4857 0.5201
As 0.5000 0.5143 0.0201
As 0.5000 0.6430 0.4061
As 0.5000 0.8538 0.0632
As 0.5000 0.9866 0.4485

Reply:
Zr 0.5000 0.2589 0.8175
Zr 0.5000 0.4148 0.1082
Zr 0.5000 0.4240 0.3536
Zr 0.5000 0.4798 0.2279
Zr 0.5000 0.5202 0.7279
Zr 0.5000 0.5760 0.8536
Zr 0.5000 0.5852 0.6082
Zr 0.5000 0.7411 0.3175
Zr 0.5000 0.7448 0.5000
Zr 0.5000 0.7550 0.9705
Zr 0.5000 0.7579 0.1526
Zr 0.5000 0.9114 0.8611
Zr 0.5000 0.9260 0.6153
Zr 0.5000 0.9764 0.7422
As 0.0000 0.0360 0.6744
As 0.0000 0.0582 0.8113
As 0.0000 0.2318 0.0737
As 0.0000 0.2677 0.3975
As 0.0000 0.4463 0.6599
As 0.0000 0.4620 0.7962
As 0.0000 0.5380 0.2962
As 0.0000 0.5537 0.1599
As 0.0000 0.7323 0.8975
As 0.0000 0.7682 0.5737
As 0.0000 0.9418 0.3113
As 0.0000 0.9640 0.1744